**Brief**
Could you print all of the contents further down word for word?

**Entries**
=====
No. 1
Density functional theory data (the ωB97M-V functional and the def2-TZVPD basis) for a molecular structure, C2H2BrF3O in a non-equilibrium geometry.

Its gap between HOMO and LUMO is 11.374 eV. As for the lowest unoccupied orbital energy: 0.023 hartree. As for the highest occupied orbital energy: -10.737 eV. Its total charge is 0.

Cartesian coordinates (Å):
1 C -0.44 -0.49 0.04
2 C 0.44 0.66 -0.43
3 O 0.15 -1.34 0.91
4 F -0.13 1.38 -1.39
5 F 0.75 1.49 0.57
6 F 1.60 0.20 -0.92
7 Br -2.15 0.25 0.67
8 H -0.73 -1.27 -1.12
9 H 0.52 -0.88 1.68

Partial charges, Löwdin, in e: number 1, C, carries -0.73; number 2, C, carries -0.73; number 3, O, carries -0.04; number 4, F, carries 0.14; number 5, F, carries 0.13; number 6, F, carries 0.14; number 7, Br, carries 0.73; number 8, H, carries 0.24; number 9, H, carries 0.12

***

No. 2
Density functional theory data (the ωB97M-V functional and the def2-TZVPD basis) for 17 unconnected molecules or ions with the total composition C54H152N10O24 in a non-equilibrium geometry.

Its gap between HOMO and LUMO is 8.997 eV. As for the lowest unoccupied orbital energy: 0.006 hartree. As for the highest occupied orbital energy: -8.830 eV. Its total charge is 0.

Cartesian coordinates (Å):
1 C -14.25 -22.84 -8.13
2 C -14.47 -21.38 -8.57
3 O -13.24 -20.63 -8.56
4 O -13.92 -23.65 -9.22
5 H -15.05 -23.27 -7.52
6 H -13.36 -22.88 -7.51
7 H -15.13 -20.89 -7.86
8 H -14.95 -21.28 -9.55
9 H -12.66 -21.01 -9.23
10 H -13.02 -23.41 -9.43
11 C -6.93 -22.79 -4.99
12 C -7.02 -24.32 -4.75
13 O -6.48 -24.58 -3.46
14 O -7.86 -22.07 -4.19
15 H -7.30 -22.61 -6.00
16 H -5.92 -22.40 -4.82
17 H -6.50 -24.90 -5.51
18 H -8.07 -24.60 -4.84
19 H -6.57 -25.52 -3.28
20 H -7.49 -21.84 -3.34
21 C -17.09 -21.39 -5.14
22 C -18.43 -20.73 -4.78
23 O -19.49 -21.69 -4.79
24 O -16.50 -22.25 -4.13
25 H -16.45 -20.52 -5.22
26 H -17.14 -21.94 -6.09
27 H -18.74 -19.96 -5.49
28 H -18.42 -20.29 -3.78
29 H -19.19 -22.57 -5.03
30 H -17.15 -22.95 -4.06
31 C -15.63 -25.70 -5.42
32 C -15.72 -26.58 -4.15
33 O -14.41 -26.60 -3.50
34 O -16.76 -25.89 -6.24
35 H -14.77 -25.87 -6.06
36 H -15.56 -24.64 -5.18
37 H -16.04 -27.61 -4.31
38 H -16.34 -26.04 -3.42
39 H -14.34 -25.75 -3.06
40 H -16.73 -26.83 -6.43
41 C -20.52 -25.37 -3.96
42 C -18.98 -25.19 -3.65
43 O -18.34 -24.31 -4.60
44 O -20.70 -26.10 -5.21
45 H -21.00 -24.39 -4.06
46 H -20.98 -25.90 -3.13
47 H -18.46 -26.15 -3.61
48 H -18.87 -24.89 -2.61
49 H -17.91 -24.79 -5.31
50 H -20.50 -25.48 -5.91
51 C -10.00 -18.29 -4.49
52 C -9.77 -19.26 -5.67
53 O -8.39 -19.60 -5.78
54 O -9.46 -17.01 -4.62
55 H -9.56 -18.69 -3.58
56 H -11.06 -18.22 -4.24
57 H -10.06 -18.72 -6.57
58 H -10.43 -20.12 -5.59
59 H -8.20 -20.37 -5.23
60 H -8.52 -16.97 -4.42
61 C -12.89 -28.50 -6.02
62 C -13.90 -29.65 -6.19
63 O -13.39 -30.87 -5.61
64 O -11.75 -28.80 -6.73
65 H -12.76 -28.23 -4.97
66 H -13.33 -27.62 -6.50
67 H -14.28 -29.89 -7.19
68 H -14.81 -29.24 -5.75
69 H -13.94 -31.17 -4.88
70 H -11.45 -29.66 -6.42
71 C -13.15 -19.53 1.02
72 C -12.18 -18.37 1.12
73 C -12.71 -16.97 0.85
74 O -13.49 -16.79 -0.34
75 C -12.78 -16.91 -1.58
76 N -11.54 -18.42 2.47
77 H -13.92 -19.55 1.80
78 H -12.60 -20.46 1.13
79 H -13.53 -19.56 0.00
80 H -11.46 -18.69 0.36
81 H -11.98 -16.17 0.99
82 H -13.46 -16.81 1.63
83 H -12.01 -16.15 -1.67
84 H -13.49 -16.79 -2.40
85 H -12.26 -17.85 -1.77
86 H -10.85 -17.70 2.62
87 H -12.29 -18.09 3.06
88 C -10.04 -21.18 -8.65
89 C -10.16 -22.41 -9.53
90 C -10.08 -23.71 -8.64
91 O -10.16 -24.90 -9.44
92 C -10.73 -26.03 -8.69
93 N -11.43 -22.30 -10.21
94 H -9.09 -21.24 -8.11
95 H -10.85 -21.17 -7.92
96 H -10.11 -20.22 -9.16
97 H -9.40 -22.36 -10.31
98 H -10.86 -23.71 -7.88
99 H -9.20 -23.73 -8.00
100 H -11.57 -25.67 -8.09
101 H -10.02 -26.42 -7.96
102 H -11.17 -26.73 -9.40
103 H -11.46 -23.03 -10.91
104 H -11.37 -21.50 -10.83
105 C -10.74 -25.62 -2.95
106 C -10.38 -27.07 -2.63
107 C -9.29 -27.28 -1.61
108 O -8.06 -26.71 -1.97
109 C -6.98 -27.04 -1.12
110 N -11.56 -27.73 -2.08
111 H -10.85 -24.94 -2.10
=====

**Completed**
No. 1
Density functional theory data (the ωB97M-V functional and the def2-TZVPD basis) for a molecular structure, C2H2BrF3O in a non-equilibrium geometry.

Its gap between HOMO and LUMO is 11.374 eV. As for the lowest unoccupied orbital energy: 0.023 hartree. As for the highest occupied orbital energy: -10.737 eV. Its total charge is 0.

Cartesian coordinates (Å):
1 C -0.44 -0.49 0.04
2 C 0.44 0.66 -0.43
3 O 0.15 -1.34 0.91
4 F -0.13 1.38 -1.39
5 F 0.75 1.49 0.57
6 F 1.60 0.20 -0.92
7 Br -2.15 0.25 0.67
8 H -0.73 -1.27 -1.12
9 H 0.52 -0.88 1.68

Partial charges, Löwdin, in e: number 1, C, carries -0.73; number 2, C, carries -0.73; number 3, O, carries -0.04; number 4, F, carries 0.14; number 5, F, carries 0.13; number 6, F, carries 0.14; number 7, Br, carries 0.73; number 8, H, carries 0.24; number 9, H, carries 0.12

***

No. 2
Density functional theory data (the ωB97M-V functional and the def2-TZVPD basis) for 17 unconnected molecules or ions with the total composition C54H152N10O24 in a non-equilibrium geometry.

Its gap between HOMO and LUMO is 8.997 eV. As for the lowest unoccupied orbital energy: 0.006 hartree. As for the highest occupied orbital energy: -8.830 eV. Its total charge is 0.

Cartesian coordinates (Å):
1 C -14.25 -22.84 -8.13
2 C -14.47 -21.38 -8.57
3 O -13.24 -20.63 -8.56
4 O -13.92 -23.65 -9.22
5 H -15.05 -23.27 -7.52
6 H -13.36 -22.88 -7.51
7 H -15.13 -20.89 -7.86
8 H -14.95 -21.28 -9.55
9 H -12.66 -21.01 -9.23
10 H -13.02 -23.41 -9.43
11 C -6.93 -22.79 -4.99
12 C -7.02 -24.32 -4.75
13 O -6.48 -24.58 -3.46
14 O -7.86 -22.07 -4.19
15 H -7.30 -22.61 -6.00
16 H -5.92 -22.40 -4.82
17 H -6.50 -24.90 -5.51
18 H -8.07 -24.60 -4.84
19 H -6.57 -25.52 -3.28
20 H -7.49 -21.84 -3.34
21 C -17.09 -21.39 -5.14
22 C -18.43 -20.73 -4.78
23 O -19.49 -21.69 -4.79
24 O -16.50 -22.25 -4.13
25 H -16.45 -20.52 -5.22
26 H -17.14 -21.94 -6.09
27 H -18.74 -19.96 -5.49
28 H -18.42 -20.29 -3.78
29 H -19.19 -22.57 -5.03
30 H -17.15 -22.95 -4.06
31 C -15.63 -25.70 -5.42
32 C -15.72 -26.58 -4.15
33 O -14.41 -26.60 -3.50
34 O -16.76 -25.89 -6.24
35 H -14.77 -25.87 -6.06
36 H -15.56 -24.64 -5.18
37 H -16.04 -27.61 -4.31
38 H -16.34 -26.04 -3.42
39 H -14.34 -25.75 -3.06
40 H -16.73 -26.83 -6.43
41 C -20.52 -25.37 -3.96
42 C -18.98 -25.19 -3.65
43 O -18.34 -24.31 -4.60
44 O -20.70 -26.10 -5.21
45 H -21.00 -24.39 -4.06
46 H -20.98 -25.90 -3.13
47 H -18.46 -26.15 -3.61
48 H -18.87 -24.89 -2.61
49 H -17.91 -24.79 -5.31
50 H -20.50 -25.48 -5.91
51 C -10.00 -18.29 -4.49
52 C -9.77 -19.26 -5.67
53 O -8.39 -19.60 -5.78
54 O -9.46 -17.01 -4.62
55 H -9.56 -18.69 -3.58
56 H -11.06 -18.22 -4.24
57 H -10.06 -18.72 -6.57
58 H -10.43 -20.12 -5.59
59 H -8.20 -20.37 -5.23
60 H -8.52 -16.97 -4.42
61 C -12.89 -28.50 -6.02
62 C -13.90 -29.65 -6.19
63 O -13.39 -30.87 -5.61
64 O -11.75 -28.80 -6.73
65 H -12.76 -28.23 -4.97
66 H -13.33 -27.62 -6.50
67 H -14.28 -29.89 -7.19
68 H -14.81 -29.24 -5.75
69 H -13.94 -31.17 -4.88
70 H -11.45 -29.66 -6.42
71 C -13.15 -19.53 1.02
72 C -12.18 -18.37 1.12
73 C -12.71 -16.97 0.85
74 O -13.49 -16.79 -0.34
75 C -12.78 -16.91 -1.58
76 N -11.54 -18.42 2.47
77 H -13.92 -19.55 1.80
78 H -12.60 -20.46 1.13
79 H -13.53 -19.56 0.00
80 H -11.46 -18.69 0.36
81 H -11.98 -16.17 0.99
82 H -13.46 -16.81 1.63
83 H -12.01 -16.15 -1.67
84 H -13.49 -16.79 -2.40
85 H -12.26 -17.85 -1.77
86 H -10.85 -17.70 2.62
87 H -12.29 -18.09 3.06
88 C -10.04 -21.18 -8.65
89 C -10.16 -22.41 -9.53
90 C -10.08 -23.71 -8.64
91 O -10.16 -24.90 -9.44
92 C -10.73 -26.03 -8.69
93 N -11.43 -22.30 -10.21
94 H -9.09 -21.24 -8.11
95 H -10.85 -21.17 -7.92
96 H -10.11 -20.22 -9.16
97 H -9.40 -22.36 -10.31
98 H -10.86 -23.71 -7.88
99 H -9.20 -23.73 -8.00
100 H -11.57 -25.67 -8.09
101 H -10.02 -26.42 -7.96
102 H -11.17 -26.73 -9.40
103 H -11.46 -23.03 -10.91
104 H -11.37 -21.50 -10.83
105 C -10.74 -25.62 -2.95
106 C -10.38 -27.07 -2.63
107 C -9.29 -27.28 -1.61
108 O -8.06 -26.71 -1.97
109 C -6.98 -27.04 -1.12
110 N -11.56 -27.73 -2.08
111 H -10.85 -24.94 -2.10